New mâmawêyatitân centre works to build community in North Central neighbourhood
What comes next are data records, not part of the text
********
The following is a calculated X-ray powder pattern of HgHF4. It was derived from a DFT-relaxed cell (GGA-PBE, Alexandria), using λ = 1.5418 Å (Cu Kα).
Intensities are scaled so that the largest is 1000.

Peak list (12 most intense, 2θ from 10° to 90°, low angle first)
13.27 deg, 6.673 Å, I 621, hkl 0 2 0; 18.81 deg, 4.717 Å, I 1000, hkl 1 1 0; 19.96 deg, 4.449 Å, I 648, hkl 0 2 1; 27.91 deg, 3.197 Å, I 530, hkl 1 3 -1; 29.93 deg, 2.985 Å, I 196, hkl 0 0 2; 30.70 deg, 2.913 Å, I 177, hkl 0 4 1; 33.28 deg, 2.692 Å, I 165, hkl 1 3 1; 39.02 deg, 2.308 Å, I 230, hkl 1 5 -1; 40.05 deg, 2.251 Å, I 215, hkl 1 1 2; 43.90 deg, 2.062 Å, I 216, hkl 2 4 -1; 51.26 deg, 1.782 Å, I 235, hkl 2 4 1; 56.11 deg, 1.639 Å, I 170, hkl 1 5 -3

a b c (Å): 5.2887 13.3466 6.2624
angles (deg): 90.00 107.57 90.00
Space group C2/c (No. 15)
One atom of each set of equivalent atoms:
Hg (0.0000, 0.0645, 0.2500) [4 per cell]
H (0.0000, 0.3245, 0.7500) [4 per cell]
F (0.2154, 0.0548, 0.5868) [8 per cell]
F (0.2259, 0.3222, 0.8281) [8 per cell]

***

The following is a calculated X-ray powder pattern of Hg2HF6. It was derived from a DFT-relaxed cell (GGA-PBE, Alexandria), using λ = 1.5418 Å (Cu Kα).
Intensities are scaled so that the largest is 1000.

Peak list (12 most intense, 2θ from 10° to 90°, low angle first)
18.36 deg, 4.831 Å, I 1000, hkl 1 0 0; 22.24 deg, 3.997 Å, I 654, hkl 1 1 1; 22.69 deg, 3.918 Å, I 537, hkl 0 1 1; 24.19 deg, 3.680 Å, I 380, hkl 0 1 -1; 30.54 deg, 2.927 Å, I 727, hkl 1 1 -1; 33.09 deg, 2.707 Å, I 247, hkl 1 2 0; 33.41 deg, 2.682 Å, I 288, hkl 0 0 2; 37.22 deg, 2.416 Å, I 153, hkl 2 0 0; 41.65 deg, 2.169 Å, I 190, hkl 1 2 2; 43.12 deg, 2.098 Å, I 241, hkl 1 0 -2; 44.83 deg, 2.022 Å, I 142, hkl 2 -1 1; 52.95 deg, 1.729 Å, I 165, hkl 0 1 3

a b c (Å): 5.3498 5.6838 5.6943
angles (deg): 80.60 70.78 70.98
Space group P-1 (No. 2)
One atom of each set of equivalent atoms:
Hg (0.0000, 0.0000, 0.0000) [1 per cell]
Hg (0.0000, 0.5000, 0.5000) [1 per cell]
H (0.5000, 0.0000, 0.5000) [1 per cell]
F (0.0005, 0.7512, 0.7485) [2 per cell]
F (0.2393, 0.6816, 0.1809) [2 per cell]
F (0.3472, 0.1424, 0.6415) [2 per cell]

***

The following is a calculated X-ray powder pattern of HgHF. It was derived from a DFT-relaxed cell (GGA-PBE, Alexandria), using λ = 1.5418 Å (Cu Kα).
Intensities are scaled so that the largest is 1000.

Peak list (12 most intense, 2θ from 10° to 90°, low angle first)
21.53 deg, 4.128 Å, I 807, hkl 0 0 2; 22.01 deg, 4.038 Å, I 752, hkl 1 0 0; 28.79 deg, 3.101 Å, I 450, hkl 0 2 0; 30.98 deg, 2.887 Å, I 1000, hkl 1 0 2; 36.23 deg, 2.479 Å, I 375, hkl 0 2 2; 36.54 deg, 2.459 Å, I 363, hkl 1 2 0; 42.80 deg, 2.113 Å, I 620, hkl 1 2 2; 43.86 deg, 2.064 Å, I 187, hkl 0 0 4; 49.60 deg, 1.838 Å, I 200, hkl 1 0 4; 50.84 deg, 1.796 Å, I 190, hkl 1 3 1; 58.37 deg, 1.581 Å, I 203, hkl 1 2 4; 59.00 deg, 1.566 Å, I 192, hkl 2 2 2

a b c (Å): 4.0383 6.2015 8.2564
angles (deg): 90.00 90.00 90.00
Space group Amm2 (No. 38)
One atom of each set of equivalent atoms:
********
So much for the data records
Excitement over opportunities presented by new $42M complex in Regina

The smell inside Regina's new mâmawêyatitân centre is fresh and the building's architecture is immaculate, but it's the people you'll find inside who make it feel welcoming.
North Central Regina's mâmawêyatitân centre has been officially open for almost two weeks and students, elders and workers alike are settling into their new space.
"It started with a seed — that there's got to be a better way for us to service a neighbourhood like North Central," said Dana Folkersen, executive director of Regina Education and Action on Child Hunger (REACH).
"This is about organizations working together."
Last year, with support from its partners, the program provided 450 nutritious meals to about 7,000 children.
In an interview with Sheila Coles, the host of CBC Radio's The Morning Edition, Folkersen said the commons area is her favourite part of the new building.
Between two parts of the entry: records of crystals:
Simulated X-ray diffraction stick pattern of Cs2NbHgS4 for a wavelength of 1.5418 Å, from a GGA-PBE-relaxed structure.
Peak positions follow from Bragg's law for the DFT cell and can differ from measured ones.

Atomic structure:
```
data_Cs2NbHgS4
_space_group_name_H-M_alt 'F d d d'
_space_group_IT_number 70
_cell_length_a 6.8072
_cell_length_b 14.1462
_cell_length_c 24.4464
_cell_angle_alpha 90.00
_cell_angle_beta 90.00
_cell_angle_gamma 90.00
loop_
_space_group_symop_operation_xyz
'x,y,z'
'-x,-y,-z'
'-x+1/4,-y+1/4,z'
'x+1/4,y+1/4,-z'
'x,-y+1/4,-z+1/4'
'-x,y+1/4,z+1/4'
'-x+1/4,y,-z+1/4'
'x+1/4,-y,z+1/4'
'x,y+1/2,z+1/2'
'-x,-y+1/2,-z+1/2'
'-x+1/4,-y+3/4,z+1/2'
'x+1/4,y+3/4,-z+1/2'
'x,-y+3/4,-z+3/4'
'-x,y+3/4,z+3/4'
'-x+1/4,y+1/2,-z+3/4'
'x+1/4,-y+1/2,z+3/4'
'x+1/2,y,z+1/2'
'-x+1/2,-y,-z+1/2'
'-x+3/4,-y+1/4,z+1/2'
'x+3/4,y+1/4,-z+1/2'
'x+1/2,-y+1/4,-z+3/4'
'-x+1/2,y+1/4,z+3/4'
'-x+3/4,y,-z+3/4'
'x+3/4,-y,z+3/4'
'x+1/2,y+1/2,z'
'-x+1/2,-y+1/2,-z'
'-x+3/4,-y+3/4,z'
'x+3/4,y+3/4,-z'
'x+1/2,-y+3/4,-z+1/4'
'-x+1/2,y+3/4,z+1/4'
'-x+3/4,y+1/2,-z+1/4'
'x+3/4,-y+1/2,z+1/4'
loop_
_atom_site_label
_atom_site_type_symbol
_atom_site_fract_x
_atom_site_fract_y
_atom_site_fract_z
Cs1 Cs 0.1250 0.1250 0.3026
Nb1 Nb 0.1250 0.1250 0.6250
Hg1 Hg 0.1250 0.1250 0.1250
S1 S 0.0810 0.2815 0.8226
```

The 10 most intense peaks (5° ≤ 2θ ≤ 70°), most intense first:
- (0 2 6), 25.21°, 3.532 Å, rel. 100.0
- (0 0 4), 14.48°, 6.117 Å, rel. 66.5
- (2 2 0), 29.12°, 3.066 Å, rel. 57.4
- (2 0 6), 34.33°, 2.612 Å, rel. 40.9
- (1 3 5), 29.41°, 3.037 Å, rel. 40.5
- (1 3 1), 23.25°, 3.826 Å, rel. 40.4
- (2 4 6), 43.05°, 2.101 Å, rel. 33.0
- (0 6 6), 44.42°, 2.039 Å, rel. 31.3
- (2 2 12), 54.03°, 1.697 Å, rel. 25.3
- (1 1 1), 14.89°, 5.950 Å, rel. 22.2
Back to the entry:

Between two parts of the piece: data records.
********
The following is a theoretical PXRD pattern of Ti10FeSb5. It was derived from the GGA-PBE geometry in the Materials Project, using Cu Ka.
No peak broadening, texture or thermal motion is included.

Atomic structure:
```
Ti10FeSb5
1.0
-5.2511 5.2511 2.6109
5.2511 -5.2511 2.6109
5.2511 5.2511 -2.6109
Ti Fe Sb
10 1 5
direct
0.0000 0.5000 0.5000
0.0226 0.1643 0.7087
0.1643 0.4556 0.1417
0.3139 0.0226 0.8583
0.4556 0.3139 0.2913
0.5000 0.0000 0.5000
0.5444 0.8357 0.8583
0.6861 0.5444 0.7087
0.8357 0.9774 0.2913
0.9774 0.6861 0.1417
0.0000 0.0000 0.0000
0.0861 0.9139 0.5000
0.4139 0.5861 0.5000
0.5000 0.5000 0.0000
0.5861 0.0861 0.1723
0.9139 0.4139 0.8277
```

Peak list (12 most intense, 2θ = 10–80°, most intense first)
2theta	Rel. int.
39.4	100
25.5	62
38.5	49
38.3	44
50.8	25
49.9	25
26.8	23
35.3	21
64.9	21
34.3	18
36.3	17
49.2	17
********
Here the piece continues.
Helping kids be the best they can be
It is a sprawling open-concept room with plenty of ceiling-high windows, but Folkerson said it's what happens inside that matters most.
"This beautiful building is definitely something that the community deserves but my excitement has always been what we can do in this building, and how we can support the kids to be the best that they can possibly be — how, as a community, we can support each other and to build success," said Folkerson.
The $42-million complex will house the Scott Collegiate school, a child-care centre, City of Regina recreation services, a community policing centre and a Regina Public Library branch.
Jonah McFadzean from the Regina Public Library said the new library branch was as much a community hub as it was a place to find books.
The new library space will be a venue for tea tastings, bannock bake-offs and video games, among other activities and programs.
"It's somewhere where people who maybe have nowhere else to go will show up and can search through all of our databases, all of our material that we have to offer or sometimes just stop by for a cup of coffee," he said.
"Everybody is always welcome at the library."
What's in a name?
The centre's name, mâmawêyatitân (pronounced mama-way-tid-ahn), means "let's be all together." The centre requested the "M" in the name not be capitalized because there is no capitalization in the Cree language.
Doreen Oakes, a band councillor at the Nekaneet First Nation who has worked as a Cree language instructor at the First Nations University in Regina, said the word was intended to make people comfortable in the building.
"It is a combination of spiritual [and] working together. The way I look at it is when good things are happening," said Oakes.
An Indigenous showcase will be held at the new centre from 5 p.m. to 9 p.m. CST on Friday.
Acts will include Michelle Thrush and her Kookum Martha Show, Teagan Littlechief and a Charging Bear performance.
With files from CBC Radio's The Morning Edition